## Listing
(1)
Density functional theory data (PBE) for an optimized crystal structure of Ni2Mo3.

Cell lengths 4.116, 4.116, 5.125 Å; angles 90.00, 90.00, 120.00 degrees
Sites, in units of the cell vectors:
Ni 0.667 0.333 0.116
Ni 0.333 0.667 0.884
Mo 0.000 0.000 0.000
Mo 0.667 0.333 0.619
Mo 0.333 0.667 0.381

The magnetic moment is 0.00 μB per cell.

---

(2)
Density functional theory data (PBE) for an optimized crystal structure of Ni2Mo3.

Cell lengths 11.372, 11.372, 11.372 Å; angles 13.59, 13.59, 13.59 degrees
Sites, in units of the cell vectors:
Ni 0.602 0.602 0.602
Ni 0.398 0.398 0.398
Mo 0.000 0.000 0.000
Mo 0.796 0.796 0.796
Mo 0.204 0.204 0.204

The magnetic moment is 0.00 μB per cell.

---

Most stable: (2). Least stable: (1).

---

(1)
Density functional theory data (PBE) for an optimized crystal structure of Ni5Mo3.

Cell lengths 7.313, 7.139, 4.664 Å; angles 90.00, 90.00, 60.81 degrees
Sites, in units of the cell vectors:
Ni 0.878 0.140 0.250
Ni 0.258 0.748 0.750
Ni 0.257 0.992 0.250
Ni 0.046 0.206 0.750
Ni 0.583 0.709 0.000
Ni 0.583 0.709 0.500
Ni 0.250 0.375 0.000
Ni 0.250 0.375 0.500
Ni 0.879 0.982 0.750
Ni 0.046 0.749 0.250
Mo 0.616 0.355 0.750
Mo 0.453 0.507 0.250
Mo 0.453 0.041 0.750
Mo 0.916 0.449 0.250
Mo 0.616 0.028 0.250
Mo 0.916 0.635 0.750

The magnetic moment is 0.00 μB per cell.

---

(2)
Density functional theory data (PBE) for an optimized crystal structure of Ni5Mo3.

Cell lengths 4.647, 7.093, 7.094 Å; angles 96.15, 109.11, 70.90 degrees
Sites, in units of the cell vectors:
Ni 0.750 0.500 0.500
Ni 0.250 0.500 0.501
Ni 0.259 0.802 0.318
Ni 0.742 0.198 0.682
Ni 0.242 0.318 0.802
Ni 0.759 0.682 0.199
Ni 0.441 0.802 0.683
Ni 0.560 0.198 0.318
Ni 0.940 0.318 0.199
Ni 0.060 0.682 0.802
Mo 0.250 0.000 0.000
Mo 0.750 0.000 0.000
Mo 0.685 0.500 0.870
Mo 0.316 0.500 0.131
Mo 0.816 0.869 0.501
Mo 0.185 0.131 0.500

The magnetic moment is 0.00 μB per cell.

---

Most stable: (2). Least stable: (1).

---

(1)
Density functional theory data (PBE) for an optimized crystal structure of Ni4Mo3.

Cell lengths 9.613, 9.613, 9.613 Å; angles 161.27, 161.27, 26.60 degrees
Sites, in units of the cell vectors:
Ni 0.864 0.864 0.000
Ni 0.571 0.571 0.000
Ni 0.429 0.429 0.000
Ni 0.136 0.136 0.000
Mo 0.000 0.000 0.000
Mo 0.709 0.709 0.000
Mo 0.291 0.291 0.000

The magnetic moment is 0.01 μB per cell.

---

(2)
Density functional theory data (PBE) for an optimized crystal structure of Ni4Mo3.

Cell lengths 4.967, 4.967, 4.581 Å; angles 90.00, 90.00, 120.00 degrees
Sites, in units of the cell vectors:
Ni 0.000 0.000 0.258
Ni 0.000 0.000 0.742
Ni 0.667 0.333 0.500
Ni 0.333 0.667 0.500
Mo 0.000 0.500 0.000
Mo 0.500 0.500 0.000
Mo 0.500 0.000 0.000

The magnetic moment is 0.00 μB per cell.

---

Most stable: (1). Least stable: (2).

---

(1)
Density functional theory data (PBE) for an optimized crystal structure of NiMo4.

Cell lengths 4.438, 4.438, 4.438 Å; angles 90.00, 90.00, 90.00 degrees
Sites, in units of the cell vectors:
Ni 0.500 0.500 0.500
Mo 0.000 0.000 0.000
Mo 0.500 0.000 0.500
Mo 0.000 0.500 0.500
Mo 0.500 0.500 0.000

The magnetic moment is 0.00 μB per cell.

---

(2)
Density functional theory data (PBE) for an optimized crystal structure of NiMo4.

Cell lengths 4.830, 4.830, 4.830 Å; angles 109.47, 109.47, 109.47 degrees
Sites, in units of the cell vectors:
Ni 0.000 0.000 0.000
Mo 0.500 0.000 0.000
Mo 0.500 0.500 0.500
Mo 0.000 0.500 0.000
Mo 0.000 0.000 0.500

The magnetic moment is 0.00 μB per cell.

---

Most stable: (2). Least stable: (1).

---

(1)
Density functional theory data (PBE) for an optimized crystal structure of Ni3Mo5.

Cell lengths 5.476, 5.476, 3.735 Å; angles 90.00, 90.00, 91.92 degrees
Sites, in units of the cell vectors:
Ni 0.500 0.500 0.000
Ni 0.256 0.256 0.500
Ni 0.744 0.744 0.500
Mo 0.000 0.000 0.000
Mo 0.000 0.500 0.000
Mo 0.500 0.000 0.000
Mo 0.738 0.262 0.500
Mo 0.262 0.738 0.500

The magnetic moment is 0.00 μB per cell.

---

(2)

## Brief
Transcribe every line further above that contains the word "the".

## Solution
Sites, in units of the cell vectors:
Sites, in units of the cell vectors:
Sites, in units of the cell vectors:
Sites, in units of the cell vectors:
Sites, in units of the cell vectors:
Sites, in units of the cell vectors:
Sites, in units of the cell vectors:
Sites, in units of the cell vectors:
Sites, in units of the cell vectors: